"It takes 20 years to build a reputation and five minutes to ruin it." – Warren Buffett.
Despite this warning, companies have paid scant attention to managing their reputation. In fact, many of the companies that we admire have, knowingly or inadvertently, shown a proclivity to flirt with reputation management issues and have, in the process, faced the backlash—fall in profit, decline in market capitalization, loss of reputation, and a dent in the trustworthiness of the company and brand.
The Hall of Shame includes the likes of Cadbury India, which suffered when worms were found in its chocolate back in 2003; PepsiCo and Coca-Cola when allegations of pesticide contamination surfaced some years ago; and Uber when one of its drivers was arrested for molesting a user last year.
The latest entrant to this Hall of Shame is Nestle India with its Maggi noodles brand. It is alleged that Maggi noodles contains more than the prescribed quantity of monosodium glutamate (MSG) and lead. Both, when present in excess, are said to be harmful—MSG is supposed to be carcinogenic, while lead leads to poisoning. Truth be told, they are not considered harmful in small quantities, therefore legally, they can be present within permissible limits.
If such are the dangers of consuming MSG and lead, why has Nestle, the world’s largest packaged consumer goods company and which prides itself on being a good corporate citizen, even permit these ingredients to be present in Maggi’s recipe? To gain the following advantages: MSG improves taste, while lead increases shelf life!
What has been the consequence for Nestle now that it has got entangled in a reputation management crisis? For the first time in over three decades it has posted a loss; its market capitalization has seen a southward movement; its chief executive has been replaced; and the Indian government is all set to drag Nestle India to the National Consumer Disputes Redressal Commission to seek damages for alleged unfair trade practices and misleading advertisements.
If the risk to a company or brand’s reputation is so rampant, with even big companies not being immune, it is conceivable that your company or your brand may get ensnared. If that happens, what should be your strategy to resolve it? More importantly, can you emerge form it with your reputation not only intact, but possibly enhanced?
For that, let me share with you the issues in reputation management. I believe, all reputation management issues can be divided into two categories:
- Competency issues: A company while conducting business could make honest mistakes—unknowingly, inadvertently and without any ulterior motive or malicious intent. When that happens, the company can come clean and admit that it has made a mistake. Most likely, it will be forgiven for its transgression
- Integrity issues: There may be occasions when people within a company knowingly take decisions that are unethical. When this comes to light, the company cannot simply offer an apology or express regret and hope to get away with it. It will have to be penalized, in monetary or non-monetary terms. In extreme case, some members of the company may even find themselves behind bars.
Having got a perspective on what the reputation management issues are, let me share with you some possible reactions if you ever find your company’s or brand’s reputation at risk.
Immediately carry out a due diligence to determine what led to the issue. If due diligence indicates that the company has made a genuine mistake, immediately come clean and apologize unconditionally.
However, if due diligence shows that the problem was due to an integrity issue, do what Jet Airways did when it found itself embroiled in one such case.
A section of its stakeholders went on strike, inconveniencing its guests. When the strike was called off, Jet Airways' management not only apologized profusely for the inconvenience to guests, but also penalized itself by offering discounted air tickets. The spokesperson announcing these measure wore sober clothes, spoke in an apologetic tone and laced his conversation with phrases like "we are sorry", "we apologize…".
**Data records from another source follow**
┌──
{
  "formula": "C45H43N5O2PPdS2",
  "method": "wB97M-V/def2-TZVPD",
  "symbols": ["Pd", "C", "C", "C", "C", "C", "C", "P", "C", "C", "C", "C", "C", "C", "C", "C", "C", "C", "C", "C", "H", "H", "H", "H", "H", "H", "H", "H", "H", "H", "H", "H", "H", "H", "O", "S", "C", "C", "C", "C", "S", "O", "C", "C", "C", "C", "C", "C", "C", "C", "C", "C", "C", "C", "H", "H", "H", "H", "H", "H", "H", "H", "H", "H", "H", "H", "H", "H", "H", "H", "H", "H", "C", "C", "N", "C", "C", "N", "C", "N", "N", "N", "C", "C", "C", "C", "C", "C", "H", "H", "H", "H", "H", "H", "H", "H", "H", "H", "H"],
└──
Bottom Line: When faced with a likely reputation management issue, the first thing a company should do is carry out due diligence dispassionately to determine if it pertains to a competency issue or an integrity Issue. If it is a competency issue, the company should disclose it and at the same time, apologize for the inconvenience it may have caused. Most likely, the matter will end there and it will find a quiet burial.
However, if the due diligence shows that deliberate decisions were taken that were unethical, the company should:
- Immediately make a public disclosure about the incident.
- Tender an unconditional apology for the inconvenience it has caused consumers.
- Penalize itself.
- Build systems and processes to ensure that such incidents do not recur.
Why self-penalize? Because if you don't, the legal system or the people at the receiving end of your 'deliberate' mistake will strive to make sure you pay a price for it—be it monetary or non-monetary.
Has any company head paid heed to this utopian advice and prospered? Yes, Airbnb has done so. It has not only survived, but has gone on to become one of the leading unicorns to emerge from Silicon Valley (current valuation at about $25 billion).
In June 2011, in San Francisco, a host’s home was burgled and ransacked by renters. Airbnb initially put out a lackluster response stating that it had tried to help the host. The host, who went by the name EJ, rebutted the company's claim. The war of words got worse.
As Leigh Gallagher wrote in an article titled The Education of Brian Chesky inFortune magazine (July 1, 2015):
Inside Airbnb everyone had a different opinion on how to handle it. Some argued that taking responsibility would just open the door to more complaints; others said to put the truth out there; still others said the company should stay totally quiet. The situation dragged on for weeks…."I finally had this really dark moment and I got to the point where I wouldn’t say I stopped caring, but my priorities completely changed," says [Brian] Chesky [founder of Airbnb]. "And I basically said I should stop managing for the outcome and just manage to the principle." He needed to apologize, Chesky felt, even if it might hurt the company.
Chesky composed a strongly worded letter accepting responsibility. "Over the last four weeks, we have really screwed things up," he wrote. He not only said he was sorry but also announced that the company would be implementing a $50,000 guarantee. "All of this was against advice," Chesky says. "People were like, 'We need to discuss this, we need to do testing,' and I said, 'No, we’re doing this.' "
Airbnb’s response, though delayed, is exemplary. The reaction of most companies when they are embroiled in such a crisis, particularly when it relates to an integrity issue, is:
- Step 1: Deny it
- Step 2: If denial does not work, give it a competency issue twist—and put out an apology with a fervent hope that the issue will die a natural death.
But if integrity is involved, expressing regret or apology will not prove effective. You will have to self-penalize. There seems to be no other way out.
There can also be instances where a company finds itself in crisis not due to management’s actions, but due to mistakes by its stakeholders. What can it do then?
Let me share the plight of Mattel, a Fortune 500 company. It outsources a significant amount of its toy production to China. In 2007, it had to recall 19 million of its “Sarge” toy cars when it discovered that they were covered with lead paint, which is banned for use on toys. An enquiry revealed that a subcontractor had violated Mattel’s policy and "utilized paint from a non-authorized third-party supplier."
Legally, Mattel could not be held responsible for a mistake by one of its stakeholders who had delibrately voilated a written policy. But who would suffer because of this faux pas? The sub-contractor or Mattel? From a legal standpoint the blame would rest at the doorsteps of the subcontracrtor, but in the hearts and minds of consumers, Mattel would be guilty—its brand image would be severely dented.
Lesson for us: Yes, even if the mistake—whether inadvertently or knowingly—is made by our partners, it will harm us. Be careful; do not hold to a false sense of comfort that you are legally protected from the mistakes of your third-party partner. Yes, legally they are to blame, but the damage to your brand will be incalculable. Remember, reputation management is not merely about legal issues, it is as much about perception. Once a negative perception gets created about your brand, it causes incalculable damage to your brand image.
Why is brand image critical for your business and brand? Revlon put it wonderfully when it said: "In the factory, we make cosmetics. In the drug store, we sell hope."
"Hope" is created through the brand image that Revlon creates in the minds of its customers. And if the brand image gets dented, over time it will start reflecting in the top line and bottom line.
In all this, here’s a concern you ought to keep in mind: do not try and take advantage of another brand’s misfortune. Take the Maggi imbroglio. Another instant noodles brand owner may be tempted to take advantage of Maggi’s misfortune and advertise that its instant noodles contains MSG and lead within prescribed limits. What is likely to happen? The scandal may engulf his brand, dragging it into the controversy. Worse, customers may start associating it with the scandal.
As Richard Branson said, "Your brand name is only as good as your reputation."
Read everything by Rajesh Srivastava here
(Reproduced with permission from Founding Fuel Publishing Pvt Ltd. This episode is part of a special weekly show The New Rules of Business, hosted by business strategist Rajesh Srivastava for Founding Fuel, a new generation digital media and learning platform for the entrepreneurial community. Rajesh has a related column with every episode, which can be accessed here)